/*
Record 1
Below is a molecular structure, C2H4N3P, with properties calculated with wB97M-V/def2-TZVPD.

```
! wB97M-V def2-TZVPD RIJCOSX def2/J DEFGRID3
* xyz 0 1
C 0.416 -1.289 -0.422
C 1.235 -0.190 -0.828
N -0.794 -1.203 0.074
N -1.357 -0.092 0.517
N 1.296 0.971 -0.241
P -1.035 1.282 1.426
H 0.530 -2.183 -0.825
H -2.475 -0.267 0.504
H 0.592 1.255 0.659
H 1.593 1.716 -0.863
*
```

Total energy in eV: -15891.8846
HOMO in eV: -7.5
LUMO in eV: -1.257
F_max in eV/Å: 5.340


Record 2
Below is C2H4N4 in the gas phase, with properties calculated with wB97M-V/def2-TZVPD.

```
! wB97M-V def2-TZVPD RIJCOSX def2/J DEFGRID3
* xyz 0 1
C 1.340 -1.361 0.084
C -1.449 0.500 -0.017
N 2.267 -0.642 -0.079
N 2.046 0.784 -0.037
N 0.895 1.125 -0.021
N -0.025 0.280 0.105
H 0.713 -2.136 0.416
H -1.906 1.503 0.102
H -1.853 0.275 -1.019
H -2.029 -0.329 0.467
*
```

Total energy in eV: -8093.9885
HOMO in eV: -9.1
LUMO in eV: 0.560
F_max in eV/Å: 5.256


Record 3
Below is C2H4N4 in the gas phase, with properties calculated with wB97M-V/def2-TZVPD.

```
! wB97M-V def2-TZVPD RIJCOSX def2/J DEFGRID3
* xyz 0 1
N -0.763 -1.785 0.251
C -0.300 -0.505 0.077
N 0.784 -0.094 0.787
C 1.066 1.059 0.231
N 0.171 1.351 -0.729
N -0.743 0.345 -0.832
H -0.585 -2.120 1.185
H -1.686 -1.978 -0.101
H 2.002 1.552 0.426
H 0.054 2.174 -1.295
*
```

Total energy in eV: -8099.2031
HOMO in eV: -8.6
LUMO in eV: 1.082
F_max in eV/Å: 0.687
SMILES: Nc1nc[nH]n1


Record 4
Below is C2H4N4 in the gas phase, with properties calculated with wB97M-V/def2-TZVPD.

```
! wB97M-V def2-TZVPD RIJCOSX def2/J DEFGRID3
* xyz 0 1
C 1.013 1.170 0.326
N 0.056 0.163 -0.062
N -0.546 -0.638 0.799
C -1.216 -1.431 -0.018
N -1.026 -1.118 -1.318
N -0.207 -0.106 -1.321
H 0.593 2.160 0.163
H 1.906 1.031 -0.281
H 1.240 1.027 1.380
H -1.811 -2.258 0.331
*
```

Total energy in eV: -8097.9615
HOMO in eV: -10.7
LUMO in eV: 0.995
F_max in eV/Å: 0.258
SMILES: Cn1ncnn1


Record 5
Below is C2H4N4 in the gas phase, with properties calculated with wB97M-V/def2-TZVPD.

```
! wB97M-V def2-TZVPD RIJCOSX def2/J DEFGRID3
* xyz 0 1
C 1.017 -0.105 0.626
C -0.068 0.905 0.439
N -1.319 0.346 0.753
N -1.543 -0.597 -0.045
N -0.657 -0.686 -1.015
N 0.437 0.131 -0.715
H 2.108 0.141 0.649
H 0.720 -1.104 1.101
H 0.165 1.942 0.199
H -0.861 -0.973 -1.993
*
```

Total energy in eV: -8095.0780
HOMO in eV: -9.0
LUMO in eV: 1.165
F_max in eV/Å: 2.542
SMILES: C1[C@@H]2N=NNN12


Record 6
Below is C2H4N4 in the gas phase, with properties calculated with wB97M-V/def2-TZVPD.

```
! wB97M-V def2-TZVPD RIJCOSX def2/J DEFGRID3
* xyz 0 1
C -1.362 -0.227 0.142
N 0.023 -0.055 -0.267
C 0.925 0.908 0.016
N 2.125 0.388 -0.034
N 1.947 -0.918 -0.347
N 0.706 -1.190 -0.487
H -1.350 -0.999 0.913
H -1.978 -0.562 -0.694
H -1.744 0.704 0.560
H 0.708 1.952 0.199
*
```

Total energy in eV: -8097.6544
HOMO in eV: -10.8
LUMO in eV: 0.671
F_max in eV/Å: 0.343
SMILES: Cn1cnnn1


Record 7
Below is 2 unconnected molecules or ions with the total composition C2H4N4, with properties calculated with wB97M-V/def2-TZVPD.

```
! wB97M-V def2-TZVPD RIJCOSX def2/J DEFGRID3
* xyz 0 1
C -0.316 0.683 1.308
N 0.550 0.247 -0.634
C 1.422 -0.362 -1.165
N -1.011 -1.855 -1.857
N -1.738 -1.430 -1.143
N -0.485 0.685 -0.134
H 0.088 -0.285 1.642
H -1.293 0.906 1.702
H 0.401 1.461 1.620
H 2.433 -0.048 -1.331
*
```
*/
Reproduce everything earlier on verbatim.
Record 1
Below is a molecular structure, C2H4N3P, with properties calculated with wB97M-V/def2-TZVPD.

```
! wB97M-V def2-TZVPD RIJCOSX def2/J DEFGRID3
* xyz 0 1
C 0.416 -1.289 -0.422
C 1.235 -0.190 -0.828
N -0.794 -1.203 0.074
N -1.357 -0.092 0.517
N 1.296 0.971 -0.241
P -1.035 1.282 1.426
H 0.530 -2.183 -0.825
H -2.475 -0.267 0.504
H 0.592 1.255 0.659
H 1.593 1.716 -0.863
*
```

Total energy in eV: -15891.8846
HOMO in eV: -7.5
LUMO in eV: -1.257
F_max in eV/Å: 5.340


Record 2
Below is C2H4N4 in the gas phase, with properties calculated with wB97M-V/def2-TZVPD.

```
! wB97M-V def2-TZVPD RIJCOSX def2/J DEFGRID3
* xyz 0 1
C 1.340 -1.361 0.084
C -1.449 0.500 -0.017
N 2.267 -0.642 -0.079
N 2.046 0.784 -0.037
N 0.895 1.125 -0.021
N -0.025 0.280 0.105
H 0.713 -2.136 0.416
H -1.906 1.503 0.102
H -1.853 0.275 -1.019
H -2.029 -0.329 0.467
*
```

Total energy in eV: -8093.9885
HOMO in eV: -9.1
LUMO in eV: 0.560
F_max in eV/Å: 5.256


Record 3
Below is C2H4N4 in the gas phase, with properties calculated with wB97M-V/def2-TZVPD.

```
! wB97M-V def2-TZVPD RIJCOSX def2/J DEFGRID3
* xyz 0 1
N -0.763 -1.785 0.251
C -0.300 -0.505 0.077
N 0.784 -0.094 0.787
C 1.066 1.059 0.231
N 0.171 1.351 -0.729
N -0.743 0.345 -0.832
H -0.585 -2.120 1.185
H -1.686 -1.978 -0.101
H 2.002 1.552 0.426
H 0.054 2.174 -1.295
*
```

Total energy in eV: -8099.2031
HOMO in eV: -8.6
LUMO in eV: 1.082
F_max in eV/Å: 0.687
SMILES: Nc1nc[nH]n1


Record 4
Below is C2H4N4 in the gas phase, with properties calculated with wB97M-V/def2-TZVPD.

```
! wB97M-V def2-TZVPD RIJCOSX def2/J DEFGRID3
* xyz 0 1
C 1.013 1.170 0.326
N 0.056 0.163 -0.062
N -0.546 -0.638 0.799
C -1.216 -1.431 -0.018
N -1.026 -1.118 -1.318
N -0.207 -0.106 -1.321
H 0.593 2.160 0.163
H 1.906 1.031 -0.281
H 1.240 1.027 1.380
H -1.811 -2.258 0.331
*
```

Total energy in eV: -8097.9615
HOMO in eV: -10.7
LUMO in eV: 0.995
F_max in eV/Å: 0.258
SMILES: Cn1ncnn1


Record 5
Below is C2H4N4 in the gas phase, with properties calculated with wB97M-V/def2-TZVPD.

```
! wB97M-V def2-TZVPD RIJCOSX def2/J DEFGRID3
* xyz 0 1
C 1.017 -0.105 0.626
C -0.068 0.905 0.439
N -1.319 0.346 0.753
N -1.543 -0.597 -0.045
N -0.657 -0.686 -1.015
N 0.437 0.131 -0.715
H 2.108 0.141 0.649
H 0.720 -1.104 1.101
H 0.165 1.942 0.199
H -0.861 -0.973 -1.993
*
```

Total energy in eV: -8095.0780
HOMO in eV: -9.0
LUMO in eV: 1.165
F_max in eV/Å: 2.542
SMILES: C1[C@@H]2N=NNN12


Record 6
Below is C2H4N4 in the gas phase, with properties calculated with wB97M-V/def2-TZVPD.

```
! wB97M-V def2-TZVPD RIJCOSX def2/J DEFGRID3
* xyz 0 1
C -1.362 -0.227 0.142
N 0.023 -0.055 -0.267
C 0.925 0.908 0.016
N 2.125 0.388 -0.034
N 1.947 -0.918 -0.347
N 0.706 -1.190 -0.487
H -1.350 -0.999 0.913
H -1.978 -0.562 -0.694
H -1.744 0.704 0.560
H 0.708 1.952 0.199
*
```

Total energy in eV: -8097.6544
HOMO in eV: -10.8
LUMO in eV: 0.671
F_max in eV/Å: 0.343
SMILES: Cn1cnnn1


Record 7
Below is 2 unconnected molecules or ions with the total composition C2H4N4, with properties calculated with wB97M-V/def2-TZVPD.

```
! wB97M-V def2-TZVPD RIJCOSX def2/J DEFGRID3
* xyz 0 1
C -0.316 0.683 1.308
N 0.550 0.247 -0.634
C 1.422 -0.362 -1.165
N -1.011 -1.855 -1.857
N -1.738 -1.430 -1.143
N -0.485 0.685 -0.134
H 0.088 -0.285 1.642
H -1.293 0.906 1.702
H 0.401 1.461 1.620
H 2.433 -0.048 -1.331
*
```